Using the Triple Edge Finder from The Maker’s Guide with the Xylotex Drive Box Part 3
Putting the Triple Edge Finder to Work
Easily, the most popular question I get is how I hooked up my Triple Edge Finder (TEF) to my Xylotex Drive Box for use with my Shoestring Budget CNC Router. This article is part 3 of a series in which I’ll explain what I needed to buy, how I hooked everything up, what settings I used in Mach3, and how I use it in normal day to day operations.
This article is meant to accompany my video tutorial, which can be viewed on my YouTube channel right here.
With everything installed, configured, assembled and connected, it’s time to test and put the Triple Edge Finder to work.
We’ll be referring to the Touch Test area of the Mach3 Toolsetter screen, as outlined in the yellow box in the pic below.

Testing is very easy. The first step is to turn on the Xylotex drive box. Install an end mill or router bit into the collet of your router or spindle and tighten it up for use as you normally would. Attach the alligator clip to the end mill or bit. Make sure the positive lead is plugged into the TEF. Touch the TEF to the end mill and look at the Mach3 screen to make sure the green LED next to the yellow Z- arrow lights up. If it does, you’re safe to move forward. If it doesn’t, recheck your connections. If it still doesn’t light up, go back into Mach3 and recheck your configuration setting in the Ports and Pins screen. (You did remember to go to the CONFIG menu and click Save Settings when you finished the configuration, right? Don’t forget that you’ll also need to close and restart Mach3 after you do so.)

Theoretical PXRD pattern
Compound: ScFeNi6
Radiation: Cu Kα, 1.54184 Å
Structure: a structure optimized by DFT (PBE)
Lines closer than 0.1° are merged.

Largest 10 diffraction maxima, in order of rising 2θ, 10° ≤ 2θ ≤ 90°:
- 2θ 15.0, I = 9, hkl 1 1 0
- 2θ 24.5, I = 9, hkl 0 2 2
- 2θ 43.2, I = 1000, hkl 2 4 0
- 2θ 50.2, I = 310, hkl 0 4 4
- 2θ 50.4, I = 153, hkl 4 0 0
- 2θ 73.7, I = 42, hkl 0 0 8
- 2θ 73.8, I = 45, hkl 0 8 0
- 2θ 73.9, I = 173, hkl 4 4 4
- 2θ 89.5, I = 203, hkl 2 8 4
- 2θ 89.8, I = 101, hkl 6 4 0

Crystal structure
Cell lengths 7.2382, 10.2702, 10.2827 Å; angles 90.00, 90.00, 90.00 degrees
Space group Cmmm (No. 65)
Asymmetric unit:
Sc (0.0000, 0.0000, 0.2488) [4 per cell]
Sc (0.0000, 0.2456, 0.5000) [4 per cell]
Fe (0.0000, 0.2434, 0.0000) [4 per cell]
Fe (0.0000, 0.5000, 0.2475) [4 per cell]
Ni (0.0000, 0.0000, 0.0000) [2 per cell]
Ni (0.0000, 0.0000, 0.5000) [2 per cell]
Ni (0.0000, 0.2545, 0.2405) [8 per cell]
Ni (0.0000, 0.5000, 0.0000) [2 per cell]
Ni (0.0000, 0.5000, 0.5000) [2 per cell]
Ni (0.2404, 0.3774, 0.3689) [16 per cell]
Ni (0.2420, 0.3723, 0.1196) [16 per cell]


Theoretical PXRD pattern
Compound: Sc2FeNi
Radiation: Cu Kα, 1.54184 Å
Structure: a structure optimized by DFT (PBE)
Lines closer than 0.1° are merged.

Largest 10 diffraction maxima, in order of rising 2θ, 10° ≤ 2θ ≤ 90°:
- 2θ 22.9, I = 138, hkl 2 0 -1
- 2θ 36.2, I = 159, hkl 1 1 -1
- 2θ 38.1, I = 409, hkl 4 0 0
- 2θ 39.0, I = 345, hkl 2 0 -2
- 2θ 39.4, I = 1000, hkl 1 1 1
- 2θ 40.3, I = 164, hkl 0 0 2
- 2θ 42.0, I = 158, hkl 3 1 0
- 2θ 42.7, I = 632, hkl 3 1 -1
- 2θ 50.1, I = 164, hkl 2 0 2
- 2θ 77.9, I = 129, hkl 7 1 -2

Crystal structure
Cell lengths 9.9083, 2.9416, 4.6982 Å; angles 90.00, 107.66, 90.00 degrees
Space group Cm (No. 8)
Asymmetric unit:
Sc (0.0000, 0.0000, 0.0000) [2 per cell]
Sc (0.2056, 0.0000, 0.6275) [2 per cell]
Fe (0.4466, 0.0000, 0.4710) [2 per cell]
Ni (0.2496, 0.5000, 0.1450) [2 per cell]


Theoretical PXRD pattern
Compound: FeSiNi2
Radiation: Cu Kα, 1.54184 Å
Structure: a structure optimized by DFT (PBE)
Lines closer than 0.1° are merged.

Largest 10 diffraction maxima, in order of rising 2θ, 10° ≤ 2θ ≤ 90°:
- 2θ 22.1, I = 107, hkl 2 0 0
- 2θ 44.1, I = 1000, hkl 1 1 1
- 2θ 44.4, I = 479, hkl 2 0 -2
- 2θ 45.0, I = 442, hkl 4 0 0
- 2θ 50.1, I = 649, hkl 3 1 -1
- 2θ 54.9, I = 241, hkl 2 0 2
- 2θ 77.1, I = 174, hkl 1 1 -3
- 2θ 77.9, I = 151, hkl 5 1 1
- 2θ 89.3, I = 115, hkl 2 2 -2
- 2θ 89.7, I = 117, hkl 4 2 0

Crystal structure
Cell lengths 8.2936, 2.6042, 4.2310 Å; angles 90.00, 103.91, 90.00 degrees
Space group C2/m (No. 12)
Asymmetric unit:
Fe (0.0000, 0.0000, 0.0000) [2 per cell]
Si (0.0000, 0.5000, 0.5000) [2 per cell]
Ni (0.2397, 0.0000, 0.7447) [4 per cell]


Theoretical PXRD pattern
Compound: Fe3SiNi12
Radiation: Cu Kα, 1.54184 Å
Structure: a structure optimized by DFT (PBE)
Lines closer than 0.1° are merged.

Largest 7 diffraction maxima, in order of rising 2θ, 10° ≤ 2θ ≤ 90°:
- 2θ 25.1, I = 7, hkl 1 0 0
A note here about the bits I use to set my X and Y zero with the TEF. No matter what bit I’m going to use for my first cut on the CNC, I use an uncoated solid carbide ¼” end mill to set my X and Y zero. I use bits of various shapes and sizes for various projects. Some of them are pretty small, while others have odd shapes. I find that it’s just easier to chuck the ¼” end mill into the router and use it to set the X and Y zero for a couple of reasons. Chief among them being the fact that they have the length needed to put the tip of the bit down into the hole in the TEF without the collet hitting the TEF while it’s moving back and forth. Second, they rarely have any non-conductive paint or other coatings on them that would prevent a good electrical connection.
Once the X and Y zero are set with the ¼” end mill, that zero will stay set no matter what other tools you may change to, unless you physically remove the work material from the spoil board and move it, turn off the drive box or computer, or shut off Mach3. If any of those things happen, you will need to set your X, Y, and Z zeros all over again.
With the connections tested, it’s ready to be put into use. Follow along with the video as I demonstrate the normal use of the TEF.
Place the TEF on top of the work material, with the corner of the work material directly underneath the hole in the TEF. Move the TEF so that the work material is firmly seated against the two bosses on the bottom of the TEF.
Move the X, Y, and Z axes to put the end mill into the hole in the TEF, so that the tip of the end mill is down inside the hole, below the top of the surrounding surface. Hold the TEF in place, then click the crosshairs in the center of the 4 arrows, under the Touch Test area of the Mach3 Toolsetter screen. Keep your hand close to your emergency stop, or your cursor over the RESET button, and your finger poised over the left mouse button, ready to abort the movement should the end mill make contact with the TEF and keep going.
The X axis will move first, moving the bit away from the work material at a feed rate of 4 inches per minute, until it touches the inside of the hole in the TEF. It will then stop and move back to its original position at 50 inches per minute. It will then move toward the piece of work material, touch the inside wall of the hole, then move to the center of the hole in the X direction. It will repeat the process for the Y direction at the same feed rates. Once the end mill has touched off all four sides, the bit will move to the center of the hole, Mach3 will set the X and Y DROs (Digital Read Outs) to zero, then raise the bit out of the hole. Your X and Y axis are now set to the corner of the work material.
With the X and Y axes set, move the end mill over the top, flat plate area of the TEF, and bring the Z axis down until the tip of the bit is roughly ½” to ¼” away from touching it. The Z zero script is set to move the end mill down toward the TEF at 4 inches per minute. It’s also set to time out the operation after 2 inches – meaning that if the Z moves downward and doesn’t make contact with the touch plate within that 2 inch measurement, it will stop and abort the move. Moving the bit to somewhere between ½ and ¼ of an inch away from the top of the TEF simply means that you spend less time waiting for Mach3 to move the bit down into contact with the TEF.
Lift the TEF to make contact with the end mill to test connectivity one again (sanity check.) If everything is still okay, click the Z- arrow. With your hand close to the e-stop button or your cursor over the RESET button, hold the TEF in place as the Z starts to move downward.
The end mill or bit will move downward until the tip makes contact with the TEF, the stop. Mach3 will then take the thickness of your TEF (which we entered in the Plate Offset space previously,) then move the Z axis upward the necessary amount needed to place the tip of the bit 1” above the work material surface, then set the Z axis DRO to +1.0 inch.
Your X, Y, and Z axes are now accurately set to zero at the bottom left corner of your work material.
That’s all there is to it. I know that this was a lot to go through for what turned out to be such a simple operation, but you should only have to set everything up one time. Once setup is completed, the Triple Edge Finder should be basically trouble-free forever.

With all of the changes we’ve made to Mach3, NOW would be a good time to back it up. You ARE backing up your Mach3 folder, aren’t you? Well, you should. You don’t know how? Well, you’re in luck.
Peter Passuello recorded a video for his YouTube channel (CNC Nutz) that covers the topic quite nicely. You can watch it here. I would highly recommend subscribing to Peter’s YouTube channel, if you’re not already. Peter shares a lot of knowledge with his viewers in easy to understand descriptions and demonstrations. His channel is a valuable resource to the whole CNC community and should be shares as often as possible. Check him out – you’ll be glad you did.
Disclaimer: This is how I use the Triple Edge Finder with the Mach3 Toolsetter and my Xylotex drive box. I am well aware of the problems that have been reported in using the Mach3 Toolsetter with some systems. I have been using this system for over a year with no problems at all. Having said that I cannot and WILL NOT guarantee it will work on any system other than my own. Proper care, research, and due diligence should be exercised in this and any other modification to a CNC router. I am not and will not be responsible for any damages incurred by anyone attempting to copy these modifications.